┌──
# Pr5ZnCu2
Computed XRD peak list, Cu Kα (weighted mean of Kα1 and Kα2). Input: a crystal structure in Alexandria, relaxed with PBE.
Neutral-atom scattering factors, no anomalous dispersion.

Principal peaks in the range 10° ≤ 2θ ≤ 80°, low angle first:
| 2θ/deg | I (rel.) |
| --- | --- |
| 25.1 | 18 |
| 30.6 | 9 |
| 32.1 | 100 |
| 34.3 | 50 |
| 35.6 | 23 |
| 50.3 | 10 |
| 55.3 | 15 |
| 55.8 | 9 |
| 56.4 | 8 |
| 64.5 | 20 |

Cell and atoms:
```
Pr5ZnCu2
1.0
-4.133 4.133 6.369
4.133 -4.133 6.369
4.133 4.133 -6.369
Pr Zn Cu
10 2 4
direct
0.000 0.000 0.000 Pr
0.013 0.513 0.817 Pr
0.196 0.013 0.500 Pr
0.304 0.804 0.817 Pr
0.487 0.304 0.500 Pr
0.500 0.500 0.000 Pr
0.513 0.696 0.500 Pr
0.696 0.196 0.183 Pr
0.804 0.987 0.500 Pr
0.987 0.487 0.183 Pr
0.250 0.250 0.000 Zn
0.750 0.750 0.000 Zn
0.125 0.375 0.500 Cu
0.375 0.875 0.251 Cu
0.625 0.125 0.749 Cu
0.875 0.625 0.500 Cu
```

***

# Li12I5N2
Computed XRD peak list, Cu Kα (weighted mean of Kα1 and Kα2). Input: a crystal structure in Alexandria, relaxed with PBE.
Neutral-atom scattering factors, no anomalous dispersion.

Principal peaks in the range 10° ≤ 2θ ≤ 80°, low angle first:
| 2θ/deg | I (rel.) |
| --- | --- |
| 18.5 | 18 |
| 22.9 | 47 |
| 23.2 | 35 |
| 23.5 | 100 |
| 27.1 | 17 |
| 36.2 | 24 |
| 38.9 | 18 |
| 41.3 | 25 |
| 45.8 | 14 |
| 48.1 | 13 |

Cell and atoms:
```
Li12I5N2
1.0
6.978 -3.782 0.000
6.978 3.782 0.000
-2.036 0.000 8.539
Li I N
12 5 2
direct
0.016 0.016 0.384 Li
0.053 0.656 0.422 Li
0.279 0.683 0.263 Li
0.317 0.721 0.737 Li
0.344 0.947 0.578 Li
0.425 0.425 0.510 Li
0.575 0.575 0.490 Li
0.656 0.053 0.422 Li
0.683 0.279 0.263 Li
0.721 0.317 0.737 Li
0.947 0.344 0.578 Li
0.984 0.984 0.616 Li
0.148 0.148 0.852 I
0.223 0.223 0.358 I
0.500 0.500 0.000 I
0.777 0.777 0.642 I
0.852 0.852 0.148 I
0.251 0.749 0.500 N
0.749 0.251 0.500 N
```

***

# GaTe2O5
Computed XRD peak list, Cu Kα (weighted mean of Kα1 and Kα2). Input: a crystal structure in Alexandria, relaxed with PBE.
Neutral-atom scattering factors, no anomalous dispersion.

Principal peaks in the range 10° ≤ 2θ ≤ 80°, low angle first:
| 2θ/deg | I (rel.) |
| --- | --- |
| 25.5 | 88 |
| 28.2 | 40 |
| 29.5 | 100 |
| 33.1 | 28 |
| 34.2 | 20 |
| 41.3 | 19 |
| 43.2 | 21 |
| 52.4 | 43 |
| 61.3 | 19 |
| 69.4 | 19 |

Cell and atoms:
```
GaTe2O5
1.0
7.403 0.000 0.000
0.000 10.495 0.000
0.000 0.000 6.051
Ga Te O
4 8 20
direct
0.000 0.060 0.250 Ga
0.000 0.940 0.750 Ga
0.500 0.440 0.750 Ga
0.500 0.560 0.250 Ga
0.126 0.345 0.506 Te
0.126 0.655 0.006 Te
0.374 0.155 0.006 Te
0.374 0.845 0.506 Te
0.626 0.155 0.494 Te
0.626 0.845 0.994 Te
0.874 0.345 0.994 Te
0.874 0.655 0.494 Te
0.000 0.440 0.250 O
0.000 0.560 0.750 O
0.137 0.068 0.956 O
0.137 0.932 0.456 O
0.184 0.198 0.324 O
0.184 0.802 0.824 O
0.316 0.302 0.824 O
0.316 0.698 0.324 O
0.363 0.432 0.456 O
0.363 0.568 0.956 O
0.500 0.060 0.750 O
0.500 0.940 0.250 O
0.637 0.432 0.044 O
0.637 0.568 0.544 O
0.684 0.302 0.676 O
0.684 0.698 0.176 O
0.816 0.198 0.176 O
0.816 0.802 0.676 O
0.863 0.068 0.544 O
0.863 0.932 0.044 O
```

***

# CsAsCCl
Computed XRD peak list, Cu Kα (weighted mean of Kα1 and Kα2). Input: a crystal structure in Alexandria, relaxed with PBE.
Neutral-atom scattering factors, no anomalous dispersion.

Principal peaks in the range 10° ≤ 2θ ≤ 80°, low angle first:
| 2θ/deg | I (rel.) |
| --- | --- |
| 11.5 | 41 |
| 22.2 | 88 |
| 22.4 | 100 |
| 23.2 | 52 |
| 27.1 | 37 |
| 30.0 | 29 |
| 35.3 | 65 |
| 35.4 | 63 |
| 35.9 | 70 |
| 38.6 | 35 |

Cell and atoms:
```
CsAsCCl
1.0
3.292 0.000 0.000
0.000 4.661 0.000
0.014 0.094 7.682
Cs As C Cl
1 1 1 1
direct
0.000 0.000 0.000 Cs
0.996 0.478 0.428 As
0.497 0.465 0.300 C
0.501 0.504 0.775 Cl
```
└──

Transcribe only the last part of the rows further above, starting with the line that has "0.148 0.148".

0.148 0.148 0.852 I
0.223 0.223 0.358 I
0.500 0.500 0.000 I
0.777 0.777 0.642 I
0.852 0.852 0.148 I
0.251 0.749 0.500 N
0.749 0.251 0.500 N
```

***

# GaTe2O5
Computed XRD peak list, Cu Kα (weighted mean of Kα1 and Kα2). Input: a crystal structure in Alexandria, relaxed with PBE.
Neutral-atom scattering factors, no anomalous dispersion.

Principal peaks in the range 10° ≤ 2θ ≤ 80°, low angle first:
| 2θ/deg | I (rel.) |
| --- | --- |
| 25.5 | 88 |
| 28.2 | 40 |
| 29.5 | 100 |
| 33.1 | 28 |
| 34.2 | 20 |
| 41.3 | 19 |
| 43.2 | 21 |
| 52.4 | 43 |
| 61.3 | 19 |
| 69.4 | 19 |

Cell and atoms:
```
GaTe2O5
1.0
7.403 0.000 0.000
0.000 10.495 0.000
0.000 0.000 6.051
Ga Te O
4 8 20
direct
0.000 0.060 0.250 Ga
0.000 0.940 0.750 Ga
0.500 0.440 0.750 Ga
0.500 0.560 0.250 Ga
0.126 0.345 0.506 Te
0.126 0.655 0.006 Te
0.374 0.155 0.006 Te
0.374 0.845 0.506 Te
0.626 0.155 0.494 Te
0.626 0.845 0.994 Te
0.874 0.345 0.994 Te
0.874 0.655 0.494 Te
0.000 0.440 0.250 O
0.000 0.560 0.750 O
0.137 0.068 0.956 O
0.137 0.932 0.456 O
0.184 0.198 0.324 O
0.184 0.802 0.824 O
0.316 0.302 0.824 O
0.316 0.698 0.324 O
0.363 0.432 0.456 O
0.363 0.568 0.956 O
0.500 0.060 0.750 O
0.500 0.940 0.250 O
0.637 0.432 0.044 O
0.637 0.568 0.544 O
0.684 0.302 0.676 O
0.684 0.698 0.176 O
0.816 0.198 0.176 O
0.816 0.802 0.676 O
0.863 0.068 0.544 O
0.863 0.932 0.044 O
```

***

# CsAsCCl
Computed XRD peak list, Cu Kα (weighted mean of Kα1 and Kα2). Input: a crystal structure in Alexandria, relaxed with PBE.
Neutral-atom scattering factors, no anomalous dispersion.

Principal peaks in the range 10° ≤ 2θ ≤ 80°, low angle first:
| 2θ/deg | I (rel.) |
| --- | --- |
| 11.5 | 41 |
| 22.2 | 88 |
| 22.4 | 100 |
| 23.2 | 52 |
| 27.1 | 37 |
| 30.0 | 29 |
| 35.3 | 65 |
| 35.4 | 63 |
| 35.9 | 70 |
| 38.6 | 35 |

Cell and atoms:
```
CsAsCCl
1.0
3.292 0.000 0.000
0.000 4.661 0.000
0.014 0.094 7.682
Cs As C Cl
1 1 1 1
direct
0.000 0.000 0.000 Cs
0.996 0.478 0.428 As
0.497 0.465 0.300 C
0.501 0.504 0.775 Cl
```